Virtual Reality for Vocational Education & Training (Vr4VET)

    Project introduction and background information:

    Digitalization of VET and career guidance received major attention in the research literature long before the COVID19 (CEDEFOP, 2016). The pandemic emphasized the need for digitalization, but also contributed to rising youth unemployment. Currently, 3.1 million young people in Europe aged 15-24 are unable to find a job. The number of NEETS (not in education, employment or training) aged 15-29 is 9.6 million. NEETS might experience that they cannot contribute in society because of low self-esteem, low motivation, low level of developing working skills and lack of mastery in school and in daily life (AFI, 2014). At the same time, youth already participating in education and training do not always receive adequate information about possible career choices. To include these groups in the working life or training programs, innovative solutions are needed. Research in digital career guidance emphasized online communication, video, chat, and other tools. Immersive technologies have been used in VET in several contexts, their use in career guidance is not explored.

    The project proposes a new approach to VET and career guidance by applying VR to allow active and engaging exploration of professions and introductory training. This approach can give young job seekers a more realistic picture of different jobs and a vital learning experience that is needed for decision-making learning competence (Krumboltz, 2014). The project will contribute to developing innovative digital career guidance methods, including young people with mental health and other employability challenges, supported by studies (Ward & Esposito 2018; Smith et at. 2017). The project will develop competence, counseling techniques for VET trainers and career advisors, boosting their digital competencies, aligning with EU Youth Guarantee and Bridge to Jobs initiative.


    • Norwegian University of Science and Technology (NTNU)
    • NAV Trøndelag (Norwegian Labour and Welfare Administration)
    • TRFK - TRØNDELAG FYLKESKOMMUNE (Trøndelag County Council)
    • BZB - Bildungszentren des Baugewerbes e.V.
    • TCR - Techniek College Rotterdam

    Objective and expected outcomes:

    We identified four major goals that include specific and measurable objectives. The objectives are achievable in the timeframe of the project unless specified otherwise.

    Goal 1. Improving employability of youth

    Obj. 1.1 To make VET and career guidance a more engaging and interactive experience with original and innovative VR training and demonstration materials

    Obj. 1.2 To reach out and collaborate with VET and career guidance stakeholders during and after the project to facilitate the adoption of the new VR resources

    Goal 2. Innovating VET and career guidance with a new type of VR training

    Obj. 2.1 To create a pedagogical approach for VET and career guidance based on active participation in realistic workplace scenarios and developing a sense of mastery in the participants

    Obj. 2.2 To create a design methodology with processes for developing scenarios, content and VR interaction applicable to any profession

    Obj. 2.3 To set up and maintain a technical infrastructure for a sustainable open-source development process enabling in-kind contribution by interested community members during and after the project

    Obj. 2.4 To develop prefabricated resources and building blocks, so that the development process is simplified, and the resultant VR apps are consistent

    Goal 3.  Innovating HE via customer-driven and multidisciplinary project-based learning

    Obj. 3.1 To design educational projects for HE students following student-active learning and project-based learning approaches and enabling their participation in the development of the VR apps

    Obj. 3.2 To attract HE students from different relevant study programs to multidisciplinary and international teams

    Goal 4. Facilitating the capacity building of VET and career guidance organizations:

    Obj. 4.1 To design a course and training materials on VR for VET

[Calculated molecules that have nothing to do with the piece]
'''
Model one:
Computed, not measured: one molecule with the formula C4H6N2O2, with the ωB97M-V functional and the def2-TZVPD basis.

```
14
Properties=species:S:1:pos:R:3
C 2.5905 -0.4162 -0.3105
N 1.5322 0.2014 0.4383
N 0.2425 -0.1019 -0.1211
O -0.3770 -1.3281 0.0658
C -1.7847 -1.1088 0.0515
C -2.0334 0.2266 -0.1560
C -0.5628 0.7845 -0.1583
O -0.3682 1.9414 0.0678
H 2.7626 -0.0045 -1.3048
H 3.1962 0.2868 0.4064
H 2.3360 -1.4857 -0.4496
H 1.3781 -0.1777 1.4963
H -2.5070 -1.9552 0.3825
H -2.8857 0.8162 -0.3793
```

SMILES string	CNn1occc1=O
highest occupied orbital energy	-9.103	eV
LUMO energy	0.75	eV
molecular weight	114.10	Da

Model two:
Computed, not measured: one molecule with the formula C4H6N2O2, with the ωB97M-V functional and the def2-TZVPD basis.

```
14
Properties=species:S:1:pos:R:3
O -3.2947 -0.4249 0.0005
C -2.0736 -0.1994 0.0719
C -0.8210 -0.9555 0.0326
C 0.2462 -0.2254 -0.0244
C 1.6321 -0.7366 0.0042
O 2.5730 0.3047 0.0904
N -0.1368 1.1478 -0.1249
N -1.5685 1.1339 0.0375
H -0.8952 -1.9114 -0.2794
H 1.8256 -1.1269 1.0368
H 1.7518 -1.3945 -0.7427
H 2.5951 0.8465 -0.7720
H 0.3489 1.5761 0.7645
H -2.1829 1.9656 -0.0951
```

SMILES string	O=c1cc(CO)[nH][nH]1
highest occupied orbital energy	-9.112	eV
LUMO energy	0.47	eV
molecular weight	114.10	Da

The most stable of them is model two.

Model one:
Computed, not measured: one molecule with the formula C4H6N2O2, with the ωB97M-V functional and the def2-TZVPD basis.

```
14
Properties=species:S:1:pos:R:3
C 0.7497 0.5508 -0.9664
C 0.1619 0.4492 0.3361
C 1.0894 -0.5475 1.0796
C -1.3232 -0.3048 0.3672
O 0.9451 -0.5047 -1.7313
N -0.4212 1.4436 1.0986
N -1.9655 -0.6680 -0.6445
O 1.3621 -1.6498 0.6549
H 0.9312 -1.3156 -1.1664
H 0.9275 1.5017 -1.4580
H -0.6355 2.2625 0.5310
H -1.5500 -0.4744 -1.5525
H 1.3716 -0.1898 2.0800
H -1.6432 -0.5531 1.3716
```

highest occupied orbital energy (alpha / beta)	-7.653 / -8.873	eV
LUMO energy (alpha / beta)	-1.13 / -0.42	eV
molecular weight	114.10	Da

Model two:
Computed, not measured: one molecule with the formula C4H6N2O2, with the ωB97M-V functional and the def2-TZVPD basis.

```
14
Properties=species:S:1:pos:R:3
C 0.3314 1.0958 -1.3407
C -0.0255 0.0452 -0.5905
C 0.3928 -1.3656 -0.8632
N -1.7230 -0.0299 0.0420
N -1.7780 0.2727 1.1823
C -0.2384 0.7312 1.3471
O -0.0526 1.9168 1.4237
O 0.4048 -0.2969 1.9583
H 0.9870 0.9875 -2.2006
H 0.0372 2.1032 -1.0672
H 1.0763 -1.4257 -1.7145
H -0.4765 -1.9919 -1.0840
H 0.8936 -1.7936 0.0069
H 0.1709 -0.2487 2.9004
```

SMILES string	C=C(C)/N=N\C(=O)O
highest occupied orbital energy	-8.786	eV
LUMO energy	-1.06	eV
molecular weight	114.10	Da

Model three:
Computed, not measured: C4H6N2O2 as an isolated structure, with the ωB97M-V functional and the def2-TZVPD basis.

```
14
Properties=species:S:1:pos:R:3
C -1.3859 0.4816 0.6895
C 0.0016 0.7649 0.6979
C 0.3640 1.4535 -0.4990
C 1.0132 -0.2706 0.2615
H -0.1259 -1.4843 -0.2368
H -1.5228 -1.9569 -1.2031
H -2.2246 0.9521 1.3414
H 0.2396 1.2507 1.6967
H 0.4032 2.4343 -0.7210
'''

    Obj. 4.2 To design and evaluate an replicable course model on VR for VET

    Obj. 4.3 To organize three trainer workshops aiming at the participants to become proficient users of VR for VET